Despite the gloom and doom constantly spouted by talking heads during 2012, it was actually not that bad of a year for capital expansion projects throughout the U.S. Companies had stockpiled considerable amounts of cash during the previous two or three years, banks were cautiously looking to do deals again, and there was a level of pent-up demand for expansion projects in many industry sectors.
Financing structures were not much different from those used over the last decade or two, with companies using a variety of tools and techniques to pay for their projects, including traditional loans and bonds, government programs and their own assets.
As evident in the chart below, capital expenditures by manufacturers have trended up since 2009 throughout the country. And according to a recent release from the Institute for Supply Management, capital expenditures in the manufacturing sector are projected to grow by more than seven percent in 20131.
Many large manufacturing companies have been stockpiling cash. In fact, the total liquid assets held by S&P 500 firms has grown from approximately $3.5 billion in 2008, to more than $6 billion as of the 3rd Quarter of 2012 — an increase of approximately 75 percent. Total liquid assets held by all non-financial firms in the U.S. rose approximately 25 percent, from nearly $1.4 trillion in 2008 to more than $1.7 trillion in 2012. These large cash balances are fueling expansion projects.
Bank Financing — Good Deals to be Had
It is safe to say that the banking world has been challenged over the last several years. The total number of commercial banks in the U.S. has declined by nearly 8,300, or almost 60 percent over the last few decades due to several factors, including approximately 3,000 failed institutions, closures for other reasons and consolidation activity. There are now approximately 6,000 commercial banks in the U.S. and while the lending environment has clearly seen better days, many of these banks are still willing to do deals.
I recently spoke with senior banking executives from some of the largest banks in the country, and they consistently indicated a desire to participate in good deals. Of course, while “good deals” these days might mean something completely different than several years ago, manufacturing projects are still interesting to banks as these projects tend to have equipment and inventory for collateral. Commercial banks face an ongoing challenge related to the low-interest-rate environment, and they will likely continue to be somewhat risk averse in the near future.
All of the banks I spoke with had a robust level of loan activity during 2012 – higher than in 2011 – and were optimistic about deal flow in 2013.
Government Financing Programs — A Case in Point
In addition to self-financing and traditional lending sources, veteran corporate site selectors know there exists a complex world of possibilities in the form of government financing programs. These can include loans, grants and other incentives from government and economic development organizations from federal to local and everything in between.
It is not unusual for the expansions for which Silverlode Consulting provides assistance to involve more than a dozen separate incentives and financing programs. One of our recent projects is a good example of the many elements that can be used on a single project.
A large, diversified manufacturing company was seeking to build a new production facility in the Midwest. The project was estimated to cost approximately $52 million, and would bring new jobs to the selected region.
This was a competitive site selection project, so confidential discussions with state and local officials in the finalist locations began early in the process. This is important as the negotiation and application process for many government programs can be complex and time consuming. The table below summarizes all of the government programs that were secured for this particular project:
Program |
Value |
Discretionary grant - State |
$ 2,500,000 |
Tax increment financing - county and local |
$ 3,625,000 |
Discretionary grant - local |
$ 150,000 |
Loan (partially forgivable) - county |
$ 1,500,000 |
Tax credits - state |
$ 1,170,000 |
Equipment loan - state |
$ 2,000,000 |
Waived fees - local |
$ 120,000 |
Discretionary grant - state |
$ 2,500,000 |
Total |
$11,065,000 |
The list outlined above comprised funding for a little more than 20 percent of the total cost of the project, with the remaining portion being a mix of traditional sources of financing.
Discretionary Grants — Deal-Closing Funds
Incentives vary significantly from state to state, county to county, city to city – sometimes even from one side of a street to another. Discretionary grants, sometimes called “deal-closing” funds, vary in availability across the country, and there exists a pendulum effect within many states in which they may be readily available one year, and then largely unavailable the next. This can be due to changes in administration or philosophy, budget issues or other factors. These grants should not be considered simply free money, as these programs can have strict performance requirements and “clawback” provisions.
Typically, discretionary grants can be used to offset hard project costs, and often are structured as reimbursements of eligible expenses. States may also offer grants for things such as training or infrastructure improvement, the value of which will depend on the specifics of the project. While there are also a large number of federal financing programs that exist in the U.S., many of these are for purposes other than facility expansions, and we rarely find readily accessible value at that level.
Grants may also be available at the county or municipal level. As many states have faced budget shortfalls over the last few years, county and local governments have been forced to play a larger role in creating inducements for competitive projects. In some regions of the country, local government entities may also have the ability to provide things such as free or low-cost land or buildings that can result in significant savings for a project.
• Inserted here: data records:
Compound: Na2UP2Pd
Source: Alexandria
Functional: PBE
Structure: relaxed

Calculated values
Formation enthalpy at 0 K in eV per atom: -0.55
SG: Pmc2_1 (26)
DOS at the Fermi energy in states/eV per atom: 0.77

abc: 4.2906 8.2042 6.7570
angles: 90.00 90.00 90.00
With the nearest neighbours (Å) after each atom.
Fractional coordinates of all 12 atoms:
Na  0.0000  0.0881  0.0000  3 P 2.90-3.00, 4 Na 3.09-3.14, 1 Pd 3.13
Na  0.0000  0.9119  0.5000  3 P 2.90-3.00, 4 Na 3.09-3.14, 1 Pd 3.13
Na  0.5000  0.1444  0.3315  4 P 2.82-3.00, 4 Na 3.09-3.14
Na  0.5000  0.8556  0.8315  4 P 2.82-3.00, 4 Na 3.09-3.14
U  0.5000  0.4658  0.9740  5 P 2.70-2.90, 2 Pd 3.01
U  0.5000  0.5342  0.4740  5 P 2.70-2.90, 2 Pd 3.01
P  0.0000  0.3914  0.2489  2 Pd 2.61, 4 U 2.88-2.90
P  0.0000  0.6086  0.7489  2 Pd 2.61, 4 U 2.88-2.90
P  0.5000  0.1970  0.7437  2 Pd 2.47, 1 U 2.70
P  0.5000  0.8030  0.2437  2 Pd 2.47, 1 U 2.70
Pd  0.0000  0.3084  0.6218  4 P 2.47-2.61
Pd  0.0000  0.6916  0.1218  4 P 2.47-2.61

---

Compound: Sr2Li3Mg12Ag
Source: Alexandria
Functional: PBE
Structure: relaxed

Calculated values
Formation enthalpy at 0 K in eV per atom: 0.12
SG: R-3m (166)
DOS at the Fermi energy in states/eV per atom: 0.64

abc: 12.2552 12.2552 12.2552
angles: 33.20 33.20 33.20
With the nearest neighbours (Å) after each atom.
Fractional coordinates of all 18 atoms:
Sr  0.1408  0.1408  0.1408  12 Mg 3.64-3.70
Sr  0.8592  0.8592  0.8592  12 Mg 3.64-3.70
Li  0.0000  0.5000  0.5000  4 Mg 2.76
Li  0.5000  0.0000  0.5000  4 Mg 2.76
Li  0.5000  0.5000  0.0000  4 Mg 2.76
Mg  0.0923  0.0923  0.6706  2 Li 2.76, 4 Mg 2.95-3.02
Mg  0.0923  0.6706  0.0923  2 Li 2.76, 4 Mg 2.95-3.02
Mg  0.1228  0.5986  0.5986  1 Ag 2.83, 2 Mg 3.02
Mg  0.3294  0.9077  0.9077  2 Li 2.76, 4 Mg 2.95-3.02
Mg  0.4014  0.4014  0.8772  1 Ag 2.83, 2 Mg 3.02
Mg  0.4014  0.8772  0.4014  1 Ag 2.83, 2 Mg 3.02
Mg  0.5986  0.1228  0.5986  1 Ag 2.83, 2 Mg 3.02
Mg  0.5986  0.5986  0.1228  1 Ag 2.83, 2 Mg 3.02
Mg  0.6706  0.0923  0.0923  2 Li 2.76, 4 Mg 2.95-3.02
Mg  0.8772  0.4014  0.4014  1 Ag 2.83, 2 Mg 3.02
Mg  0.9077  0.3294  0.9077  2 Li 2.76, 4 Mg 2.95-3.02
Mg  0.9077  0.9077  0.3294  2 Li 2.76, 4 Mg 2.95-3.02
Ag  0.5000  0.5000  0.5000  6 Mg 2.83

---

Compound: HfAg2RhBr
Source: Alexandria
Functional: PBE
Structure: relaxed

Calculated values
DFT total energy in eV/cell: -19.1
SG: P4/mmm (123)
DOS at the Fermi energy in states/eV per atom: 1.25

abc: 4.9234 4.9234 4.7278
angles: 90.00 90.00 90.00
With the nearest neighbours (Å) after each atom.
Fractional coordinates of all 5 atoms:
Hf  0.0000  0.0000  0.0000  8 Ag 3.41, 4 Rh 3.48
Ag  0.0000  0.5000  0.5000  2 Br 2.46
Ag  0.5000  0.0000  0.5000  2 Br 2.46
Rh  0.5000  0.5000  0.0000  2 Br 2.36
Br  0.5000  0.5000  0.5000  2 Rh 2.36, 4 Ag 2.46

---

Compound: CuReRu2
Source: Alexandria
Functional: PBE
Structure: relaxed

Calculated values
Offset from the most stable computed form in meV per atom: 32.9
Formation enthalpy at 0 K in eV per atom: 0.16
SG: P2/m (10)
Tax Credits and Tax Increment Financing — Good, yet Complicated
Many states can award tax credits for job creation or capital investment. Some of these programs are refundable credits, which can effectively work as grants depending on a company’s state tax liability. In these cases, the credits are first used to offset taxes and any remaining credit value is provided to the company in cash.
Tax increment financing is a tool that is allowable in some form in most states; however, the applicability to private investments varies greatly. This financing mechanism establishes a baseline for the property value of a project’s parcel(s) for some period of years, and the new property taxes above this baseline, which are generated by the improvements, are used to repay bonds issued to fund the project. For example, in the Silverlode project described above, the incremental new property taxes to be generated by the new building were estimated to be nearly $300,000 per year. By establishing a tax increment financing district, we were able to use 20 years of those incremental new taxes to finance a $3.625 million bond to be used for on-site infrastructure improvements for the project.
While it is fairly easy to describe the tax increment financing process, it is rarely easy to implement. These programs often involve several rounds of legislation, public notifications and hearings, school board approvals, etc., and can take many months to implement. In places where tax increment financing is overly complex to use or not a good fit for a particular project, property tax abatements may be available and slightly easier to secure.
Taking advantage of government sources of financing requires careful planning, patience and perseverance. Many companies that have not had experience working with tax and financial incentives programs are unpleasantly surprised at just how complex the process can be. It is not uncommon for us to hear from a CEO or CFO that they have a handle on the incentives because they are friends with the governor or a senator, a mayor, a council person. They make the mistake of proudly announcing their project and ringing up their high-placed acquaintance, only to learn that they are out of luck.
It is important to assemble a talented team to tackle the incentives process. Internally, this should probably include project management, state and local tax personnel, real estate, human resources and finance staff. External services providers such as legal, tax and accounting, and site selection and incentives consultants also tend to pay for themselves many times over on a complex expansion project.
The Definitive Process for Securing Financial Assistance
As mentioned above, the specific programs offered vary greatly across jurisdictions; however, the basic process for securing them does not. Maximizing the potential of tax and financial assistance programs requires a carefully choreographed approach, the elements of which are summarized in the chart below. The blue boxes represent tasks where government officials are usually involved, and the red box indicates the latest point where the identity the company may be disclosed.
Keep it Under Your Hat
It is often helpful for a number of reasons to begin both the site selection and incentives process without disclosing the identity of the company. For publicly traded firms this can be especially important as it may not be the right timing to have to answer analysts’ questions about a rumored expansion project, and for all firms it can help reduce the number of sales calls from service providers which tend to follow news of a potential project. As shown in the chart above, it is possible to get about halfway through the incentives process without identifying the company, although this typically requires the use of a consultant.
Mastering the Big Ask
Another critical step in the incentives negotiation process often mishandled even by experienced site selectors revolves around the development of an “ask.” There are essentially two ways to approach this. The first is basically to say to officials, “what can you give us?” It is worth noting, however, that economic development officials are generally charged with landing as many jobs as possible for as little cost as possible, and with this approach, it is quite likely that money may be left on the table. The other approach is to enter the initial meeting with a full understanding of:
What programs do the state and local governments have that might be applicable for the project?
What are the statutory rules and limits for these programs? This should not be confused with the administrative guidelines, as it is not uncommon for officials to not fully understand all that is possible within their own programs.
Many states’ premier incentives programs have limits in the number that can be awarded in a calendar or fiscal year. In these cases, it is important to know the status of those programs.
Many states have inducements that are structured as tax credits that may or may not be refundable. In states where tax credits are not refundable and it is unlikely the company will generate sufficient liabilities to take full advantage of them, it may be possible and worthwhile to negotiate for other types of assistance at some discounted rate in exchange for passing on the big credit program.
Who is in the meeting? What are the likely next steps for how this project will be managed by these agencies? How complex is the application process? How long is the approval process? What are the requirements under these programs with regard to hiring targeted groups, prevailing wage on building improvements, clawback provisions, etc.?
What are the shortcomings of the state/site? States can fund roadway, sewer and other infrastructure improvements if they are needed. If no needs are identified, no funding will be offered. Likewise, if labor availability or suitability is an identified need, states may be able to offer training grants, state-funded-and-managed job fairs, etc.
In many cases, we do not even begin to discuss actual incentives dollars in these first meetings. Rather, we seek to secure support of the Governor or other high-ranking officials so that when the project is delegated to their staff, it is treated as a high-priority project. In the rare cases where we do put numbers on the table early in the process, it is only after we have completed our comparative cost analyses and carefully determined the “gap” number that we are asking the state/local governments to fill. This approach helps to retain the leverage and tends to yield better results.
After experiencing one of our busiest years in a decade in 2012, we think 2013 looks even better. With the wide array of financing tools and strategies available, even the most challenging projects should find a way to get built.